To the discomfort of many researchers and philosophers, cannibalism is rather common in the animal kingdom, with some species displaying the behavior more often than others. Filial cannibalism, defined as eating one’s young, can be found across species. LiveScience reports that the behavior is found in “polar bears, burying beetles, hamsters, wolf spiders and a range of fish species.” However, the means in which this behavior manifests depends on the fish species.
What comes next are records of crystals, not part of the entry
=====
No. 1
Diffraction record for CaMnTl2F6. The X-ray powder pattern is theoretical, not measured: it uses a crystal structure in Alexandria, relaxed with GGA+U and copper Kα.
Kinematic intensities with the Lorentz-polarization factor, no thermal factor.

Peak list (12 most intense, 2θ from 5° to 70°, sorted by position)
20.15°, d 4.408, rel. 35
28.64°, d 3.117, rel. 100
35.27°, d 2.545, rel. 32
40.91°, d 2.206, rel. 23
41.03°, d 2.200, rel. 11
46.02°, d 1.972, rel. 13
46.11°, d 1.969, rel. 6
50.74°, d 1.799, rel. 42
59.30°, d 1.558, rel. 22
63.29°, d 1.469, rel. 9
67.10°, d 1.395, rel. 12
67.28°, d 1.392, rel. 6

Cell and atoms:
Lattice parameters (Å, degrees): 6.230 6.230 6.230 119.91 119.91 90.15
Element x y z (fractional)
Ca  0.000  0.000  0.000
Mn  0.500  0.500  0.000
Tl  0.250  0.750  0.500
Tl  0.750  0.250  0.500
F  0.256  0.256  0.512
F  0.256  0.744  0.000
F  0.257  0.257  0.000
F  0.743  0.743  0.000
F  0.744  0.256  0.000
F  0.744  0.744  0.488

No. 2
Diffraction record for CaMnZn2F8. The X-ray powder pattern is theoretical, not measured: it uses a crystal structure in Alexandria, relaxed with GGA+U and copper Kα.
Kinematic intensities with the Lorentz-polarization factor, no thermal factor.

Peak list (12 most intense, 2θ from 5° to 70°, sorted by position)
18.68°, d 4.750, rel. 5
28.95°, d 3.084, rel. 100
29.67°, d 3.011, rel. 5
32.52°, d 2.753, rel. 7
34.05°, d 2.633, rel. 7
39.12°, d 2.303, rel. 7
40.76°, d 2.214, rel. 9
47.80°, d 1.903, rel. 41
48.93°, d 1.862, rel. 22
55.85°, d 1.646, rel. 15
57.85°, d 1.594, rel. 28
59.99°, d 1.542, rel. 7

Cell and atoms:
Lattice parameters (Å, degrees): 6.647 6.647 6.647 133.33 133.33 68.14
Element x y z (fractional)
Ca  0.000  0.000  0.000
=====
While some species choose to chow down on their spawn to survive starvation, this is not always the case. For example, male sand gobies are known to eat their own eggs, and the theory has more to do with more efficient reproduction rather than hunger. In an interview with LiveScience, Hope Klug, an evolutionary biologist at the University of Helsinki in Finland explains, “Overall, dad does a pretty good job of taking care of the eggs, except for one thing — he tends to eat about a third of them . . . Based on previous work in this species, we know that the males aren’t just doing this because they’re hungry—even when they have excess food, they continue to eat a really large number of their own eggs.”
Interestingly, the male goby eats the largest of its clutch. Larger eggs take longer to hatch, and while the male protects the eggs, they cannot attract any new females. The eggs typically hatch over a period of 2 weeks, but by eating the larger eggs, the gobies can reenter the mating scene sooner. This behavior allows the fish to have a more productive breeding season. The behavior was exacerbated in cases where the male was rearing two clutches, more often cannibalizing the second brood.
-- Misplaced calculated crystals --
'''
1.
Starting from a PBE-relaxed structure, the X-ray diffraction stick pattern of NpMn2PN was calculated for copper Kα.
Lines closer than 0.1° are merged.

Peak list (12 most intense, 2θ from 15° to 90°, most intense first)
2θ (°)	intensity	(hkl)
38.98	1000	1 1 1
29.51	894	1 0 1
24.89	637	1 0 0
40.55	544	1 0 2
31.49	384	0 0 2
51.07	296	2 0 0
61.13	272	1 1 3
60.09	258	2 1 1
67.16	251	2 1 2
15.60	244	0 0 1
61.24	228	2 0 2
54.85	207	1 0 3

Structural model:
Cell lengths 3.577, 3.577, 5.682 Å; angles 90.00, 90.00, 90.00 degrees
Space group P4mm (No. 99)
Unique sites:
Np (0.000, 0.000, 0.000)
Mn (0.000, 0.500, 0.486)
P (0.500, 0.500, 0.232)
N (0.000, 0.000, 0.618)

2.
Starting from a PBE-relaxed structure, the X-ray diffraction stick pattern of Th2NpMnN5 was calculated for copper Kα.
Lines closer than 0.1° are merged.

Peak list (12 most intense, 2θ from 15° to 90°, most intense first)
2θ (°)	intensity	(hkl)
31.04	1000	2 0 1
33.91	715	2 1 1
24.40	479	1 1 1
30.88	479	0 0 2
43.65	423	2 1 2
30.08	349	2 1 0
43.06	307	3 1 0
53.92	253	3 1 2
61.33	218	3 3 1
55.02	215	2 0 3
38.33	206	2 2 0
50.00	185	2 2 2

Structural model:
Cell lengths 6.643, 6.643, 5.791 Å; angles 90.00, 90.00, 90.00 degrees
Space group P4/mbm (No. 127)
Unique sites:
Th (0.169, 0.331, 0.000)
Np (0.000, 0.000, 0.500)
Mn (0.000, 0.500, 0.500)
N (0.000, 0.000, 0.000)
N (0.150, 0.650, 0.278)
'''
Unsurprisingly, filial cannibalism can be found in multiple sub-species of goby, including the common goby. Male common goby also look after their clutch (or several clutches) alone. ScienceDaily reports that male gobies can often be found cleaning the nest and fanning oxygen toward the eggs to improve their supply. Even after meticulously caring for the brood, male common gobies still often eat their spawn.
Researchers at Heubel of Tübingen’s Institute of Evolution and Ecology theorize that filial cannibalism is linked more to personality and behavior rather than hunger or production. Katja Heubel, one of the researchers, stated, “Individuals with a high general level of activity were much more likely to cannibalize the brood.” That is to say: cannibalism is part of a behavioral syndrome, something the male largely cannot control.
Common Goby male. (Credit: Martin Vallon)
┌──
[1]
Diffraction record for Ca2Tl17. The X-ray powder pattern is computed, not measured: it uses a crystal structure in Alexandria, relaxed with PBE and Cu Kα X-rays.

Peak list (10 most intense, 15° ≤ 2θ ≤ 90°, in order of rising 2θ)
2θ/deg	I/Imax	h k l
16.00	35	1 1 0
27.62	19	0 2 4
30.71	23	0 0 6
31.68	40	2 0 5
31.92	78	0 3 3
32.31	41	2 2 0
34.81	43	1 1 6
35.90	100	2 2 3
53.93	21	4 1 6
57.63	24	6 0 0

Crystal structure
```
data_Ca2Tl17
_chemical_formula_sum 'Ca6 Tl51'
_cell_length_a 11.0820
_cell_length_b 11.0820
_cell_length_c 17.4680
_cell_angle_alpha 90.00
_cell_angle_beta 90.00
_cell_angle_gamma 120.00
_symmetry_space_group_name_H-M 'R -3 m'
_symmetry_Int_Tables_number 166
_symmetry_space_group_name_Hall '-R 3 2"'
loop_
_atom_site_label
_atom_site_type_symbol
_atom_site_fract_x
_atom_site_fract_y
_atom_site_fract_z
Ca1 Ca 0.0000 0.0000 0.2066
Tl1 Tl 0.0000 0.0000 0.4077
Tl2 Tl 0.0000 0.3035 0.5000
Tl3 Tl 0.0000 0.5000 0.0000
Tl4 Tl 0.0166 0.5083 0.6405
```

=====

[2]
Diffraction record for Ca5Tl. The X-ray powder pattern is computed, not measured: it uses a crystal structure in Alexandria, relaxed with PBE and Cu Kα X-rays.

Peak list (10 most intense, 15° ≤ 2θ ≤ 90°, in order of rising 2θ)
2θ/deg	I/Imax	h k l
23.07	25	1 1 0
26.52	20	1 1 1
29.16	47	4 0 -2
29.54	54	2 0 2
29.88	27	3 1 -1
30.26	98	1 1 -2
30.41	100	3 1 0
38.54	19	1 1 -3
53.06	24	5 1 2
54.61	19	2 2 2

Crystal structure
```
data_Ca5Tl
_chemical_formula_sum 'Ca10 Tl2'
_cell_length_a 13.608
_cell_length_b 4.042
_cell_length_c 8.653
_cell_angle_alpha 90.00
_cell_angle_beta 109.27
_cell_angle_gamma 90.00
_symmetry_space_group_name_H-M 'C 1 m 1'
_symmetry_Int_Tables_number 8
loop_
_symmetry_equiv_pos_as_xyz
'x,y,z'
'x,-y,z'
'x+1/2,y+1/2,z'
'x+1/2,-y+1/2,z'
loop_
_atom_site_label
_atom_site_type_symbol
_atom_site_fract_x
_atom_site_fract_y
_atom_site_fract_z
Ca1 Ca 0.000 0.000 0.000
Ca2 Ca 0.024 0.000 0.441
Ca3 Ca 0.165 0.500 0.799
Ca4 Ca 0.307 0.000 0.157
Ca5 Ca 0.331 0.000 0.599
Tl1 Tl 0.165 0.500 0.300
```

=====

[3]
Diffraction record for Ca3Tl. The X-ray powder pattern is computed, not measured: it uses a crystal structure in Alexandria, relaxed with PBE and Cu Kα X-rays.

Peak list (10 most intense, 15° ≤ 2θ ≤ 90°, in order of rising 2θ)
2θ/deg	I/Imax	h k l
17.21	39	1 0 1
19.52	16	0 0 4
22.11	36	1 0 3
23.42	22	1 1 0
30.67	100	1 1 4
33.36	41	2 0 0
40.39	16	2 1 3
47.90	15	2 2 0
52.74	19	2 0 8
57.95	31	3 1 4

Crystal structure
```
data_Ca3Tl
_chemical_formula_sum 'Ca12 Tl4'
_cell_length_a 5.372
_cell_length_b 5.372
_cell_length_c 18.194
_cell_angle_alpha 90.00
_cell_angle_beta 90.00
_cell_angle_gamma 90.00
_symmetry_space_group_name_H-M 'I 4/m m m'
_symmetry_Int_Tables_number 139
_symmetry_space_group_name_Hall '-I 4 2'
loop_
_atom_site_label
_atom_site_type_symbol
_atom_site_fract_x
_atom_site_fract_y
_atom_site_fract_z
Ca1 Ca 0.000 0.000 0.125
Ca2 Ca 0.000 0.500 0.000
Ca3 Ca 0.000 0.500 0.250
Tl1 Tl 0.000 0.000 0.366
```

=====

[4]
└──
The data records stop here:
While sand gobies ate the larger and younger eggs, common gobies were observed to eat the younger eggs (no observations were reported on size) as they are of less productive value than the older, more developed eggs. The male goby has already invested time into the older eggs, so eating them would be a loss of investment, implying the behavior is somewhat controlled. Younger spawn are also more nourishing for the male, suggesting that while seemingly counterproductive, filial cannibalism may be part of an adaptive behavior.
Despite the behavior being expressed in a variety of ways, based on the means in which the fish choose which eggs to eat and consistencies across the animal kingdom, the act of eating one’s young may be more common than previously assumed. Additionally, the decision may be closely linked to adaptation and survival since the species appear to be selective in choosing their unconventional meal.